Community Building
How to Achieve Your Organization’s Greatest Impact Through Capacity Building
It can be very satisfying to watch individuals and communities overcome difficulties and barriers with the help of your nonprofit. But there are obstacles that come along with nonprofit leadership too. You probably face increased demand for your programs, ever-growing reporting requirements from your funders, and outdated resources. You may even be tracking all of your programs using paper forms and Excel spreadsheets.
One way to move past these challenges is to focus on capacity building. MemoryFox Founder and CEO, Chris Miano said “Great leaders engage their staff and volunteers with a full heart and an open mind, listen to those voices, and come up with the unified plan of action.”
What is Capacity Building?
The term operational capacity describes the amount of work your team can accomplish with the tools and resources available. For social-good organizations, capacity is seen in the number of services that your nonprofit can provide with your current staff, volunteers, funding, and technology. Building that capacity means the amount of services you can provide through both increased resources and more efficient use of what you already have.
Capacity building benefits your organization now and in the future. Having increased capacity means you can provide more services for your community. It also improves your long-term sustainability. The only thing sure about the future is change. Having increased capacity means that you can handle whatever comes.
Capacity building can also increase your sustainability by improving your fundraising. Funders want to work with nonprofits who have the skills and tools needed to fulfill their missions and create community impact. Increasing your capacity makes you more competitive in the crowded world of grant applications and fundraisers. MemoryFox enables your organization to share words, pictures, and videos your dedicated community is saying about your increased impact.
Different Kinds of Capacity Building
Capacity building can be broken down into three primary types of projects. The first is individual. Focusing on building the skills of your individual team members will grow the capacity of your entire nonprofit. After all, people are always your most valuable resource. A related type of capacity building is organizational capacity. When your organization has the resources and skills to scale up your programs, your impact increases for individuals and the entire community.
The final type of capacity building is at the ecosystem level. No organization exists in a vacuum, including yours. There is no possible way for a single nonprofit to address every type of need and barrier. Communities prosper when different organizations team up to find solutions to complex problems. Improving the capacity of the whole ecosystem means leaning on each other’s strengths to expand and improve services.
How to Implement Capacity Building
Capacity building might sound intimidating, but here are a few strategies to help your organization get started.
Training is the lifeblood of any successful organization. Strong performance cultures start with leaders who help their team members achieve their highest potential through both job-specific training and professional development.
Successful training starts with having a variety of opportunities. This includes formal training, such as workshops, conferences, and written materials. There are also less-formal strategies, such as mentoring, job shadowing, and hands-on practice. Mixing the two approaches will provide your team with the best chance of success.
**The piece is interrupted by materials data**
-- begin --
No. 1
VASP calculation (PBE-GGA) on a relaxed structure of HoCo2C2.

Structure (CIF):
```
data_HoCo2C2
_chemical_formula_sum 'Ho2 Co4 C4'
_cell_length_a 3.3368
_cell_length_b 3.3368
_cell_length_c 9.9673
_cell_angle_alpha 90.00
_cell_angle_beta 90.00
_cell_angle_gamma 90.00
_symmetry_space_group_name_H-M 'I 4/m m m'
_symmetry_Int_Tables_number 139
_symmetry_space_group_name_Hall '-I 4 2'
loop_
_atom_site_label
_atom_site_fract_x
_atom_site_fract_y
_atom_site_fract_z
Ho1 0.0000 0.0000 0.0000
Co1 0.0000 0.5000 0.2500
C1 0.0000 0.0000 0.3528
```

Energy of formation: -0.142 eV/atom
Total moment: 0.000 μB/f.u.

No. 2
VASP calculation (PBE-GGA) on a relaxed structure of HoCo3PC.

Structure (CIF):
```
data_HoCo3PC
_chemical_formula_sum 'Ho4 Co12 P4 C4'
_cell_length_a 5.2703
_cell_length_b 10.7576
_cell_length_c 5.4316
_cell_angle_alpha 90.00
_cell_angle_beta 90.00
_cell_angle_gamma 90.00
_symmetry_space_group_name_H-M 'C m c m'
_symmetry_Int_Tables_number 63
_symmetry_space_group_name_Hall '-C 2c 2'
loop_
_atom_site_label
_atom_site_fract_x
_atom_site_fract_y
_atom_site_fract_z
Ho1 0.0000 0.2483 0.2500
Co1 0.0000 0.3203 0.7500
Co2 0.2437 0.5000 0.0000
P1 0.0000 0.1217 0.7500
C1 0.0000 0.4881 0.7500
```

Energy of formation: -0.426 eV/atom
Total moment: 0.397 μB/f.u.

No. 3
VASP calculation (PBE-GGA) on a relaxed structure of HoCoSiC.

Structure (CIF):
```
data_HoCoSiC
_chemical_formula_sum 'Ho2 Co2 Si2 C2'
_cell_length_a 3.6721
_cell_length_b 3.6721
_cell_length_c 8.4775
_cell_angle_alpha 90.00
_cell_angle_beta 90.00
_cell_angle_gamma 90.00
_symmetry_space_group_name_H-M 'P 4/n m m'
_symmetry_Int_Tables_number 129
loop_
_symmetry_equiv_pos_as_xyz
'x,y,z'
'-x,-y,-z'
'-y+1/2,x,z'
'y+1/2,-x,-z'
'-x+1/2,-y+1/2,z'
'x+1/2,y+1/2,-z'
'y,-x+1/2,z'
'-y,x+1/2,-z'
'x+1/2,-y,-z'
'-x+1/2,y,z'
'-y,-x,-z'
'y,x,z'
'-x,y+1/2,-z'
'x,-y+1/2,z'
'y+1/2,x+1/2,-z'
'-y+1/2,-x+1/2,z'
loop_
_atom_site_label
_atom_site_fract_x
_atom_site_fract_y
_atom_site_fract_z
Ho1 0.2500 0.2500 0.1464
Co1 0.2500 0.7500 0.5000
Si1 0.2500 0.2500 0.6532
C1 0.2500 0.2500 0.8665
```

ΔE_f (raw): -0.522 eV per atom
Total moment: 0.000 μB/f.u.

No. 4
VASP calculation (PBE-GGA) on a relaxed structure of HoZn2Co2C.

Structure (CIF):
```
data_HoZn2Co2C
_chemical_formula_sum 'Ho2 Zn4 Co4 C2'
_cell_length_a 3.7795
_cell_length_b 3.7795
_cell_length_c 12.8814
_cell_angle_alpha 90.00
_cell_angle_beta 90.00
_cell_angle_gamma 90.00
_symmetry_space_group_name_H-M 'I 4/m m m'
_symmetry_Int_Tables_number 139
_symmetry_space_group_name_Hall '-I 4 2'
loop_
_atom_site_label
_atom_site_fract_x
_atom_site_fract_y
_atom_site_fract_z
Ho1 0.0000 0.0000 0.0000
Zn1 0.0000 0.5000 0.2500
Co1 0.0000 0.0000 0.3679
C1 0.0000 0.0000 0.5000
```

Energy of formation: 0.017 eV/atom
Total moment: 0.000 μB/f.u.

No. 5
VASP calculation (PBE-GGA) on a relaxed structure of CoC2I.

Structure (CIF):
```
data_CoC2I
_chemical_formula_sum 'Co4 C8 I4'
_cell_length_a 5.2219
_cell_length_b 5.2219
_cell_length_c 8.9917
_cell_angle_alpha 90.00
-- stop --
Feedback and Accountability
The text is interrupted by materials data =
- - -
16
Lattice="-5.620 5.620 1.476 5.620 -5.620 1.476 5.620 5.620 -1.476" Properties=species:S:1:pos:R:3 comment="MnHO2, relaxed, DFT GGA+U" density_g_cm3=3.1 energy_ev_per_cell=-104.13 magnetic_moment_mub_per_cell=16.0 pbc="T T T"
Mn 7.287 1.663 0.000
Mn 1.663 3.953 0.000
Mn 3.957 1.667 1.476
Mn -1.667 3.957 1.476
H 4.819 3.494 0.000
H 2.126 -0.801 1.476
H 3.494 6.421 0.000
H 0.801 2.126 1.476
O 3.693 0.457 0.000
O 3.938 3.074 0.000
O 5.163 -1.927 1.476
O 2.546 -1.682 1.476
O 3.074 7.302 0.000
O 0.457 7.547 0.000
O 1.682 2.546 1.476
- - -
You cannot create a high performing culture without feedback and accountability. Leaders who want to build the capacity of their nonprofit must welcome feedback on a variety of topics, including client satisfaction and impact measurement. They should also listen to ideas from their team members about opportunities, organizational improvement, and even their own management styles.
Accountability is an essential piece of any successful organization. Your team members need to know what they need to do and why it is important. They must then be held accountable for making sure it happens. As a technology solution built for social-good providers by social-good providers, SureImpact enables staff to track and measure client activities, while giving leadership insights into program and organizational performance and impact.
Enabling Constructive Change
Few people look forward to change, many even fear it. But progress and improvement are not possible without embracing changes to methods, practices, or tools. Constructive change means altering your organization in order to create positive results. The most successful nonprofit leaders redirect organizational energy in ways that enhance quality and improve effectiveness.

About the Author
Sheri Chaney Jones
CEO & Founder, SureImpact
(Here the article breaks off for calculated crystals)
(1)
Here is a relaxed Pm5Nd12Y crystal from Alexandria via LeMat-Bulk. Energies are from GGA-PBE.

M_tot in Bohr magnetons per cell: 0.00
Crystal system: monoclinic
Space-group type: No. 12
Energy relative to the elements in eV/atom: 0.075

a b c (Å): 12.1192 10.6315 5.9265
angles (deg): 90.04 90.07 55.25
Closest atoms and distances in Å follow each position.
Atoms (fractional coordinates):
Nd 0.8311 0.6417 0.5078  6 Nd 3.43-3.80, 4 Pm 3.53-3.72
Nd 0.8019 0.0000 0.4542  2 Nd 3.20-3.21, 2 Pm 3.39
Nd 0.5272 0.6417 0.4922  6 Nd 3.43-3.80, 4 Pm 3.53-3.72
Nd 0.0265 0.6419 0.0072  6 Nd 3.43-3.80, 3 Pm 3.54-3.71, 1 Y 3.63
Pm 0.8643 0.2714 0.5000  8 Nd 3.39-3.72
Nd 0.6684 0.3581 0.0072  6 Nd 3.43-3.80, 3 Pm 3.54-3.71, 1 Y 3.63
Nd 0.1981 0.0000 0.5458  2 Nd 3.20-3.21, 2 Pm 3.39
Pm 0.6372 0.7257 0.0000  8 Nd 3.43-3.71, 2 Pm 3.81
Nd 0.9735 0.3581 0.9928  6 Nd 3.43-3.80, 3 Pm 3.54-3.71, 1 Y 3.63
Pm 0.3629 0.2743 0.0000  8 Nd 3.43-3.71, 2 Pm 3.81
Nd 0.1689 0.3583 0.4922  6 Nd 3.43-3.80, 4 Pm 3.53-3.72
Pm 0.5000 0.0000 0.5000  8 Nd 3.62-3.67, 4 Pm 3.81
Nd 0.3316 0.6419 0.9928  6 Nd 3.43-3.80, 3 Pm 3.54-3.71, 1 Y 3.63
Nd 0.7008 0.0000 0.9528  2 Nd 3.20-3.21, 2 Pm 3.43
Pm 0.1357 0.7286 0.5000  8 Nd 3.39-3.72
Nd 0.2992 0.0000 0.0472  2 Nd 3.20-3.21, 2 Pm 3.43
Nd 0.4728 0.3583 0.5078  6 Nd 3.43-3.80, 4 Pm 3.53-3.72
Y 0.0000 0.0000 0.0000  10 Nd 3.61-4.03, 4 Pm 3.80

---

(2)
Here is a relaxed Sr2CaLaCo crystal from Alexandria via LeMat-Bulk. Energies are from GGA-PBE.

M_tot in Bohr magnetons per cell: 0.00
Crystal system: tetragonal
Space-group type: No. 123
Energy relative to the elements in eV/atom: 0.092

a b c (Å): 6.0642 6.0642 5.2366
angles (deg): 90.00 90.00 90.00
Closest atoms and distances in Å follow each position.
Atoms (fractional coordinates):
Co 0.0000 0.0000 0.0000  2 La 2.62
Ca 0.5000 0.5000 0.5000  8 Sr 4.01, 4 La 4.29
Sr 0.5000 0.0000 0.0000  2 Co 3.03
La 0.0000 0.0000 0.5000  2 Co 2.62
Sr 0.0000 0.5000 0.0000  2 Co 3.03

---

(3)
Here is a relaxed CdNiCl6 crystal from Alexandria via LeMat-Bulk. Energies are from GGA-PBE.

M_tot in Bohr magnetons per cell: 0.00
Distance to the lowest polymorph of the same formula in meV/atom: 0.0
Crystal system: monoclinic
Space-group type: No. 12

a b c (Å): 6.1821 7.2415 6.5182
angles (deg): 106.27 98.73 125.49
Closest atoms and distances in Å follow each position.
Atoms (fractional coordinates):
Cl 0.5537 0.2745 0.0000  1 Ni 2.25
Cl 0.8552 0.5754 0.7197  1 Ni 2.25
Cl 0.8645 0.1444 0.7197  1 Ni 2.25
Cl 0.1448 0.4246 0.2803  1 Ni 2.25
Cl 0.1355 0.8556 0.2803  1 Ni 2.25
Cd 0.0000 0.0000 0.0000  6 Cl 2.60-2.79
Ni 0.0000 0.5000 0.0000  6 Cl 2.25
Cl 0.4463 0.7255 0.0000  1 Ni 2.25

=====

VASP calculation (PBE-GGA) on TmScCd3 after structural relaxation.

Formation energy ... 0.360 eV/atom
Calculated volume ... 335.5 Å³ per cell
Density ... 5.46 g/cm³
Symmetry ... I-4m2 (119)

a b c (Å): 11.5244 11.5244 11.5244
angles (deg): 152.06 152.06 39.93
With the nearest neighbours (Å) after each atom.
For more than 20 years, Sheri Chaney Jones has worked alongside foundations, non-profit, and government leaders to help them use data to solve complex social problems and increase revenue. An author, professor, and internationally recognized measurement expert, Sheri believes in data, metrics, and accountability.